-- Excerpt --
+++
# 1
First-principles (GGA-PBE) data for a relaxed structure of Er4GaSe2, as listed in the Alexandria database.

POSCAR file:
```
Er4GaSe2
1.0
3.7987 0.0000 -0.9917
-0.7362 6.2074 -2.8201
-0.0028 -0.3147 7.7608
Er Ga Se
4 1 2
Direct
0.1144 0.4632 0.2288 Er
0.3775 0.0618 0.7551 Er
0.6225 0.9382 0.2449 Er
0.8856 0.5368 0.7712 Er
0.0000 0.0000 0.0000 Ga
0.7507 0.7396 0.5015 Se
0.2493 0.2604 0.4985 Se
```

The uncorrected formation energy comes out at -1.06 eV per atom. Its calculated total energy is -35.7 eV per formula unit. As for the calculated volume: 25.626 Å³ per atom.

---

# 2
First-principles (GGA-PBE) data for a relaxed structure of LaY2Tm7, as listed in the Alexandria database.

POSCAR file:
```
LaY2Tm7
1.0
5.2652 -1.6795 0.7810
-2.9909 7.1484 -4.4178
1.3139 -0.5946 9.9046
Tm Y La
7 2 1
Direct
0.2939 0.8935 0.1990 Tm
0.1478 0.9359 0.5769 Tm
0.5000 0.5000 0.0000 Tm
0.8522 0.0641 0.4231 Tm
0.1970 0.5980 0.8017 Tm
0.7061 0.1065 0.8010 Tm
0.8030 0.4020 0.1983 Tm
0.6394 0.4259 0.5728 Y
0.3606 0.5741 0.4272 Y
0.0000 0.0000 0.0000 La
```

Its calculated formation energy is 47 meV/atom. Its calculated total energy is -48.7 eV per formula unit. As for the energy relative to the lowest polymorph listed for this composition: 0 meV per atom. As for the calculated volume: 31.301 Å³ per atom.
+++

-- Exercise --
The reader should copy every line above that contains the word "Alexandria".

-- Response --
First-principles (GGA-PBE) data for a relaxed structure of Er4GaSe2, as listed in the Alexandria database.
First-principles (GGA-PBE) data for a relaxed structure of LaY2Tm7, as listed in the Alexandria database.